Home RELATIONSHIP ADVICE 3 Surefire Ways to Calm Down When Angry

3 Surefire Ways to Calm Down When Angry

May 27, 2022

Have you ever been so angry that you said or did something you regret? Sometimes after an anger outburst there is an opportunity to apologize and make amends, but that depends on the strength of your relationship with the person(s) hurt by your angry words or actions. It also depends on the frequency or the intensity of the anger outbursts, i.e., how often you get angry and how strongly you act out in anger.

There have been more and more incidents of extreme hostility and rudeness demonstrated by people on airplanes, in restaurants, and in communities at large. Due to post-pandemic, financial and relationship stressors, people are finding it extremely difficult to tolerate frustration and accommodate others with opposing points of view.

Consequently, it is helpful to know effective ways of calming yourself when you get angry so that you stop yourself before saying or doing something you later regret. This article lists 3 techniques that work to calm you down so that you can gain full control of your anger emotion. Let's start by looking at the definition of anger.

What is Anger?

Anger is an emotion that has the essential feature of antagonism toward something or someone you feel has wronged you. The Oxford Dictionary defines anger as a strong feeling of annoyance, displeasure or hostility and this definition highlights that anger can range from a less intense emotion such as annoyance, to a more intense emotion such as hostility or even rage. For a detailed explanation of what anger is, how it affects you, and how to fix the anger problem see this FREE Anger Management training.

3 Effective Techniques to Calm Down When Angry

As noted earlier, it is often difficult to repair the hurt caused by words said or behaviors done in anger therefore, a crucial tool in managing anger is learning how to cool down before having anger outbursts. Here are 3 very effective techniques that have been proven to calm the anger feelings:

#1 Diaphragmatic Breathing

When you are experiencing an intense negative emotion such as anger, your breathing changes. If you reflect on the last time you felt really angry you may recall that the more your anger intensified, the more shallow your breathing became. Additionally, the more intense the anger feeling, the quicker your breathing rate thus requiring you to take more breaths per second than when you are relaxed.

You may also notice that when you are taking quick, shallow breaths your shoulders and chest simultaneously rise on each inhale and fall on exhale. In contrast, diaphragmatic breathing engages the stomach muscles, diaphragm and abdominal muscles when you breathe.

Diaphragmatic breathing is a technique that allows you to deliberately pace your breathing and facilitate the flow of oxygen throughout your body. The oxygenation happens as you actively permit your diaphragm to pull down with each inward breath and push up with each exhale while your shoulders and chest remain still.

Here's how you do diaphragmatic breathing:

  • Sit or stand in an upright position i.e., make sure you are not slouching or leaning. If you are lying down lie on your back and straighten your body position.
  • Slowly inhale through your nostrils, making sure the deep breaths go down and expand your stomach. You know you are inhaling correctly when you see or feel your stomach expanding while your shoulders and chest remain still.
  • When you feel your stomach filled with air, hold the breath for a paced count - 1, 2, 3 4, and visualize each number as you count.
  • Through your mouth, slowly exhale the breath while using your abdominal and stomach muscles to gently push all the air out without moving your shoulders or chest.
  • Repeat this process until you feel calm and your breathing is returned to a normal pace.

#2 Walking Away from the Trigger Then Returning When Calm

A trigger of anger is anything such an event, or the words/actions of anyone you believe has wronged you or someone/something you care about. The goal of the Walking Away Then Returning technique is to deliberately remove yourself from the triggering event or person(s) and help yourself reduce your feeling of annoyance or hostility.

Here are the steps involved in walking away:

  • Recognize that you are getting angry based on your body cues e.g., the changes in your breathing etc. For more information on body cues when angry, see this FREE Anger Management training.
  • Physically move away from the anger trigger and go to a different location where the trigger is not present. It is further beneficial to go to a private place such as the rest room, or an area that has images you find calming.
  • While in the new area, you may practice the diaphragmatic breathing technique detailed above, or the counting technique detailed below. Do either or both techniques until you feel calm. You may also find it helpful to talk with someone you trust who can further help you calm down.
  • If you feel you are able to tolerate the event or person you previously found triggering, you may at that time return to the event or person and calmly state your argument position. If you feel you are unable to tolerate the trigger, wait a while until you are able to be tolerant before returning. Note that some triggers are so overwhelming that you may need the help of a skilled psychotherapist to find resolution.

#3 Counting Backwards

Counting backwards is a simple yet effective technique to calm down. The technique is made even more powerful when you close your eyes and visualize the numbers as you make the count down.

You can start counting from any number you choose, e.g., 10, 9, 8... This 10-figures number set is particularly useful if you are making the count before verbally responding to something someone said that you find antagonizing.

However, if you are very angry, you might want to start counting from. a larger number like 100, 99, 98... The goal of counting is to force yourself to actively engage your brain in the calming down process.

Here are the steps involved in counting backwards:

  • Recognize that you are getting angry based on your body cues e.g., the changes in your breathing etc. For more information on body cues when angry, see this FREE Anger Management training.
  • Close your eyes and visualize a number of your choice. As you think about the number, use your imagination to "see" the number in your mind.
  • Keep visualizing each number as you count down, and slowly exhale on each count.
  • Do the count down until you feel calm. If you get to the number 1 and you are not calm it means you have chosen a number set that is shorter than the time it takes for you to calm down. Simply choose a larger number and start counting down from there until you feel calm.

The Common Thread That Makes All 3 Techniques Work

Someone pasted crystal structures at this point:
********
Density functional theory data (meta-GGA SCAN) for CoReTeI2 at its PBEsol-relaxed geometry. Values from VASP.

## Properties
Crystal system   tetragonal
Total DFT energy (no corrections)   -192.77 eV per cell
V   29.921 Å³ per atom
Formation energy without anion corrections   1.27 eV/atom

The structure in Quantum ESPRESSO input format:
```
&SYSTEM
  ibrav = 0, nat = 5, ntyp = 4
/
ATOMIC_SPECIES
Re 186.21 Re.upf
Co 58.93 Co.upf
Te 127.60 Te.upf
I 126.90 I.upf
CELL_PARAMETERS angstrom
-2.9167 0.2635 -4.0612
-1.6483 -5.1419 0.8502
-4.1259 1.8322 3.0821
ATOMIC_POSITIONS crystal
Re 0.0000 0.0000 0.0000
Co 0.5000 0.5000 0.5000
Te 0.5000 0.0000 0.0000
I 0.0000 0.5000 0.0000
I 0.0000 0.0000 0.5000
```



Density functional theory data (meta-GGA SCAN) for CoRhI3 at its PBEsol-relaxed geometry. Values from VASP.

## Properties
Crystal system   cubic
Total DFT energy (no corrections)   -157.12 eV per cell
V   26.227 Å³ per atom
Formation energy without anion corrections   0.84 eV/atom

The structure in Quantum ESPRESSO input format:
```
&SYSTEM
  ibrav = 0, nat = 5, ntyp = 3
/
ATOMIC_SPECIES
I 126.90 I.upf
Co 58.93 Co.upf
Rh 102.91 Rh.upf
CELL_PARAMETERS angstrom
5.0805 0.0000 0.0000
0.0000 5.0805 0.0000
0.0000 0.0000 5.0805
ATOMIC_POSITIONS crystal
I 0.0000 0.0000 0.5000
I 0.5000 0.0000 0.0000
I 0.0000 0.5000 0.0000
Co 0.0000 0.0000 0.0000
Rh 0.5000 0.5000 0.5000
```



Density functional theory data (meta-GGA SCAN) for CoSI2 at its PBEsol-relaxed geometry. Values from VASP.

## Properties
Crystal system   tetragonal
Total DFT energy (no corrections)   -195.82 eV per cell
V   25.498 Å³ per atom
Formation energy without anion corrections   0.63 eV/atom

The structure in Quantum ESPRESSO input format:
```
&SYSTEM
  ibrav = 0, nat = 8, ntyp = 3
/
ATOMIC_SPECIES
I 126.90 I.upf
S 32.06 S.upf
Co 58.93 Co.upf
CELL_PARAMETERS angstrom
6.5406 0.0416 -0.0602
-3.0864 5.7667 0.0602
3.0864 2.0958 5.3727
ATOMIC_POSITIONS crystal
I 0.9419 0.3169 0.1250
S 0.5000 0.7500 0.7500
I 0.0581 0.9331 0.6250
S 0.0000 0.5000 0.5000
I 0.5581 0.6250 0.3169
I 0.4419 0.1250 0.9331
Co 0.5000 0.2500 0.2500
Co 0.0000 0.0000 0.0000
```



Density functional theory data (meta-GGA SCAN) for CoSbI3 at its PBEsol-relaxed geometry. Values from VASP.

## Properties
Crystal system   cubic
Total DFT energy (no corrections)   -163.14 eV per cell
V   26.470 Å³ per atom
Formation energy without anion corrections   0.33 eV/atom

The structure in Quantum ESPRESSO input format:
```
&SYSTEM
  ibrav = 0, nat = 5, ntyp = 3
/
ATOMIC_SPECIES
I 126.90 I.upf
Sb 121.76 Sb.upf
Co 58.93 Co.upf
CELL_PARAMETERS angstrom
-2.2295 -3.7850 -2.5833
2.3009 -3.4091 3.0091
-3.9630 0.1501 3.2003
ATOMIC_POSITIONS crystal
I 0.5000 0.0000 0.0000
I 0.0000 0.0000 0.5000
I 0.0000 0.5000 0.0000
Sb 0.5000 0.5000 0.5000
Co 0.0000 0.0000 0.0000
```



Density functional theory data (meta-GGA SCAN) for TaCoSb2I at its PBEsol-relaxed geometry. Values from VASP.

## Properties
Crystal system   tetragonal
********
Here the entry continues:

Whether you are focusing on your breathing, removing yourself from the trigger, or counting backwards, the key aspect or all three techniques is that you are shifting your focus from the thing or person(s) triggering your anger, to something you have little or no strong emotion about.

It is unlikely that you have a strong emotion about breathing or counting. Consequently, as you perform each of these tasks, your focus is shifted away from what you find annoying, toward something you have little emotion about. The result is that your body becomes calm, and you are able to regain full control over your thoughts and emotions.

When to Seek Help For Anger

Whether or not you are the one often getting angry, it is helpful to know when someone should get help for anger issues. Here are some common indications that you should seek help, i.e., if you notice that the anger outbursts:

  • happen often and sometimes become very intense,
  • has caused problems in your relationship with your significant other,
  • has caused problems with your job,
  • Has resulted in the destruction of property,
  • Has resulted in physical injury

Psychotherapy or counseling has been proven to help people manage anger. However, psychotherapy requires you to tell a professional your past and current experiences, and you might find it difficult to disclose your private experiences to someone you do not know.

If you find it difficult to disclose your thoughts and feelings to a counselor, you could benefit from self-help interventions since they are non-intrusive. A good place to start is to view a FREE online anger management training that will help you further understand what the anger is about, and how to fix the anger problem. You can contact us for a FREE coaching consultation at 305-414-1917. Also, you could download this FREE e-book which outlines a step-by-step guide on how to move from feeling bad emotions including anger, to feeling good emotions such as happiness.

If the anger leads to acts of violence against your significant other, or other family member(s), this is called Domestic Violence and relates to issues beyond the scope of anger management. If this is happening in your experience, please consider getting help from the National Domestic Violence hotline.


The Oxford Dictionary defines anger as a strong feeling of annoyance, displeasure or hostility. This definition highlights that anger can range from a less intense emotion such as annoyance to a more intense emotion such as hostility or even rage. Three (3) effective techniques that work in calming down when angry are: diaphragmatic breathing, walking away from the anger trigger, and counting backwards. This article gives a step-by-step guide on how to implement each of these surefire self-calming techniques.